Your answers to these kinds of questions demonstrate an ability to comprehend and apply ideas discussed...

Your answers to these kinds of questions demonstrate an ability to comprehend and apply ideas discussed in this chapter.  Please use the key terms from the chapter to help you answer the following questions.  I expect thorough, well-thought out answers for each question.  Make sure to number your answers to the questions accordingly and proofread before submitting.  

1. What is the relationship between each of the substages in Piaget’s theory of the sensorimotor period? How does the infant get from one stage to the next?

2. Define language, and explain the concept of infinite generativity.

3. Discuss evidence regarding the nature and nurture bases for language development.

4. Summarize the milestones in the development of language by infants.

5. Explain how developmentalists have studied emotions in infants.

6. Discuss what we learn about infant cognitive and social development by studying infant smiling and crying.

7. Explain Erikson’s concept of trust versus mistrust. Give a hypothetical situation of a parent–infant interaction that leads to the infant developing trust and a hypothetical situation in which the infant would develop mistrust.

In: Psychology

Van Diedrendonck notes on empowering and developing people through servant leadership with 5 characteristics. These characteristics...

Van Diedrendonck notes on empowering and developing people through servant leadership with 5 characteristics. These characteristics are empowering and developing people, humility, authenticity, interpersonal acceptance, providing direction, and stewardship. please explain these below?

In: Psychology

Discuss specific communication obstacles and gains when conducting a virtual meeting. Further, consider how you would...

Discuss specific communication obstacles and gains when conducting a virtual meeting. Further, consider how you would overcome some of these challenges and maximize on the strengths.

In: Psychology

How is the process of acculturation different from the act of conformity? Provide an example.

How is the process of acculturation different from the act of conformity? Provide an example.

In: Psychology

How do historical, social, political, economic, cultural and global forces have a play in racism?

How do historical, social, political, economic, cultural and global forces have a play in racism?

In: Psychology

Explain the Missouri Compromise. Why was this important? Who was involved? How did the two political...

Explain the Missouri Compromise. Why was this important? Who was involved? How did the two political parties deal with the issue of slavery in the western territory?

In: Psychology

Post a logic model and theory of change for a practitioner-level intervention. Describe the types of...

Post a logic model and theory of change for a practitioner-level intervention. Describe the types of problems, the client needs, and the underlying causes of problems and unmet needs. Identify the short- and long-term outcomes that you think would represent an improved condition. Then describe interventions that would lead to a change in the presenting conditions. Be sure to search for and cite resources that inform your views.

In: Psychology

Question 1 What are agents of socialization? Group of answer choices a:Indivuduals, groups. and institutions involved...

Question 1

What are agents of socialization?

Group of answer choices

a:Indivuduals, groups. and institutions involved in the socilization process

b:individuals involved in the socilization process

c:groups involved in the socilization process

d:institutions involved in the socilization process

Question 2

Which of the following is typically the earliest agent of socialization?

Group of answer choices


b:mass media



Question 3

What is social stratification?

Group of answer choices

a:A socioeconomic system that provides for the betterment of a society

b:A socioeconomic system that manipulates people for profit

c:a socioeconomic system that divides society’s members into categories ranking from high to low, based on things like wealth, power, and prestige

d:The ways in which a sociaoeconomic system pertains to social control and deviance

Question 4

What is meritocracy?

Group of answer choices

a:the social structure that denies any upward mobility

b:The benefits that come only through education

_Someone pasted quantum chemistry results at this point_
- - -
Computed, not measured: a molecular structure, C12H33F4N5O11S4Sr at a distorted geometry, with ωB97M-V/def2-TZVPD.

Properties
Molecular weight = 715.30 g/mol
Electronic energy = -3601.447276 hartree
F_max = 4.60 eV Å⁻¹
Highest occupied orbital energy = -10.2 eV

Last column: natural (NBO) charge in e.
Geometry (Å):
H 2.592 1.302 1.459  0.37
C -2.518 0.820 3.109  -0.07
H -2.495 -0.686 -4.406  0.16
C -1.276 1.563 3.586  -0.08
H -0.320 -0.225 3.791  0.41
O 0.130 -2.179 1.795  -1.09
F -2.149 -2.336 2.167  -0.49
H 4.323 -0.859 0.807  0.17
H -1.448 1.677 4.656  0.19
N -0.148 0.669 3.377  -0.92
H -0.916 -0.621 -5.263  0.18
H -0.698 0.809 -3.379  0.23
O -0.897 -4.294 2.326  -0.89
S 0.889 3.453 -3.090  2.53
H -4.327 0.474 1.513  0.19
H -3.467 1.672 0.474  0.21
H -3.608 -0.148 0.151  0.19
H -2.797 -3.061 -5.059  0.16
C 4.707 1.474 -0.125  -0.63
C -0.712 -0.222 -3.170  -0.08
N -0.537 -2.355 4.068  -1.25
O -2.035 2.547 -2.331  -0.93
S -0.797 -2.934 2.629  2.56
O 2.518 -1.458 0.043  -0.59
H -0.190 3.294 3.445  0.21
H 4.731 2.586 -0.292  0.23
H 2.696 -3.256 -0.824  0.17
H -1.442 -4.235 -4.542  0.20
H -3.348 1.511 3.204  0.19
N 2.309 1.162 0.468  -0.92
C 3.447 0.739 -0.342  -0.11
H -0.705 2.767 1.868  0.21
N 0.056 3.968 -1.820  -1.22
H 2.028 2.068 0.125  0.40
H 0.644 0.914 4.020  0.37
H -1.824 -1.358 -1.883  0.38
H 5.562 1.046 -0.720  0.23
N -1.337 -0.440 -1.847  -0.92
O -2.289 0.467 1.734  -0.63
C -1.386 -0.957 -4.348  -0.07
C -3.452 0.644 0.914  -0.27
C 2.663 -2.827 0.160  -0.24
O -0.573 -4.110 5.957  -0.88
S -1.260 3.345 -1.428  2.51
O 1.709 2.371 -2.612  -1.00
H -2.111 0.217 -1.815  0.39
O -2.072 4.162 -0.578  -0.90
H 4.253 -1.144 -0.972  0.19
O -1.168 -2.300 -4.033  -0.56
O -2.623 -2.962 5.362  -0.93
F -0.949 -1.689 6.389  -0.52
H 3.684 -3.074 0.664  0.16
F -0.704 2.110 -0.408  -0.62
F 1.810 4.637 -3.358  -0.44
H 5.034 1.329 0.918  0.20
H 1.831 -3.184 0.719  0.22
Sr 0.062 -0.036 0.647  1.84
H 0.761 -1.693 -2.659  0.21
O 0.168 3.049 -4.278  -0.89
H -1.923 3.504 3.020  0.23
H 1.185 0.063 -2.420  0.21
C -1.051 2.876 2.933  -0.61
C 0.742 -0.675 -3.063  -0.62
S -1.215 -2.986 5.397  2.52
H -2.706 -0.095 3.676  0.21
H -1.421 -3.154 -5.998  0.17
C -1.690 -3.258 -4.926  -0.25
H 3.098 0.819 -1.410  0.24
C 3.732 -0.723 -0.125  -0.05
H 1.218 -0.568 -4.046  0.22

Computed, not measured: 2 unconnected molecules or ions with the total composition C3H4FO2S at a distorted geometry, with ωB97M-V/def2-TZVPD.

Properties
Energy above the lowest of the compared OMol25 structures with the same formula, charge and spin = 0.832 eV
Net charge = -1
Molecular weight = 123.13 g/mol
Electronic energy = -765.270988 hartree
F_max = 3.19 eV Å⁻¹
Highest occupied orbital energy = -4.9 eV

Last column: natural (NBO) charge in e.
Geometry (Å):
C 0.700 1.205 0.100  -0.54
H 0.407 2.080 0.613  0.18
H -0.270 -1.830 -0.028  0.24
F 2.204 0.596 1.881  -0.35
H -2.131 -0.867 -0.276  0.13
H 0.301 0.913 -0.911  0.23
O 3.350 -0.956 -0.286  -0.71
O 1.181 -1.464 -0.727  -0.79
C 1.603 0.398 0.669  0.32
- - -

c:An ideal system of rewards for even the laziest among us

d:an ideal system in which personal effort—or merit—determines social standing

Question 5

Structural mobility occurs when:

Group of answer choices

a:an individual moves up the class ladder

b:an individual moves down the class ladder

c:a large group moves up or down the class ladder due to societal changes

d:a member of a family belongs to a different class than his or her siblings

Question 6

The behaviors, customs, and norms associated with a class are known as:

Group of answer choices

Record 1
{
  "formula": "C29H59BN3O4S",
  "method": "ωB97M-V/def2-TZVPD",
  "e_lumo_ev": -4.347,
  "charge": 1,
  "species": ["C", "C", "N", "C", "C", "C", "C", "N", "C", "C", "C", "C", "C", "C", "C", "C", "C", "C", "C", "C", "C", "C", "C", "C", "C", "C", "N", "B", "O", "C", "C", "H", "H", "H", "H", "H", "H", "H", "H", "H", "H", "H", "H", "H", "H", "H", "H", "H", "H", "H", "H", "H", "H", "H", "H", "H", "H", "H", "H", "H", "H", "H", "H", "H", "H", "H", "H", "H", "H", "H", "H", "H", "H", "H", "H", "H", "H", "H", "H", "H", "H", "H", "O", "S", "O", "O", "C", "C", "C", "H", "H", "H", "H", "H", "H", "H", "H"],

a:class traits




In: Psychology

1). In approximately 350 words, please: Summarize and briefly explain Thomson’s “ailing violinist” case. What are...

_The article is interrupted by data records_
/*
<a>
346
Properties=species:S:1:pos:R:3 method="wB97M-V/def2-TZVPD" orbital_gap_ev=7.7
C 11.974 -0.774 2.232
C 13.137 -0.590 1.209
C 12.518 -0.360 -0.177
C 13.260 0.477 -1.217
C 13.706 1.779 -0.614
C 14.108 1.914 0.898
N 14.079 0.580 1.585
O 14.550 0.685 2.940
C 15.463 2.649 1.006
C 13.053 2.820 1.619
C 14.057 -1.780 0.995
H 11.416 0.099 2.571
H 12.453 -1.184 3.121
H 11.185 -1.475 1.961
H 12.394 -1.319 -0.681
H 11.527 0.085 -0.083
H 12.769 0.634 -2.178
H 14.127 -0.116 -1.507
H 12.787 2.336 -0.798
H 14.443 2.279 -1.243
H 15.910 2.649 2.000
H 16.172 2.054 0.430
H 15.329 3.652 0.602
H 13.529 3.266 2.492
H 12.832 3.676 0.980
H 12.154 2.293 1.939
H 13.530 -2.679 1.314
H 14.778 -1.747 1.812
H 14.538 -1.874 0.021
H 13.801 1.147 3.324
C 15.797 -11.314 0.946
C 17.005 -11.660 1.852
C 17.437 -10.209 2.376
C 18.374 -10.095 3.578
C 17.883 -10.967 4.810
C 17.389 -12.392 4.343
N 16.573 -12.431 3.072
O 16.217 -13.764 2.649
C 18.646 -13.296 4.217
C 16.569 -13.092 5.401
C 18.207 -12.178 1.017
H 16.013 -10.585 0.165
H 14.943 -11.013 1.553
H 15.472 -12.236 0.464
H 17.913 -9.668 1.558
H 16.585 -9.575 2.623
H 18.450 -9.011 3.655
H 19.343 -10.406 3.186
H 17.353 -10.558 5.671
H 18.822 -11.230 5.295
H 19.242 -13.380 5.126
H 18.453 -14.298 3.833
H 19.372 -12.758 3.607
H 16.373 -14.146 5.206
H 17.124 -13.157 6.336
H 15.589 -12.747 5.730
H 19.188 -11.984 1.451
H 18.230 -11.665 0.055
H 18.064 -13.245 0.847
H 15.310 -13.964 2.891
C 4.336 -4.206 1.978
C 3.456 -5.159 2.938
C 2.574 -6.166 2.143
C 3.293 -7.413 1.615
C 3.981 -8.067 2.750
C 5.003 -7.091 3.527
N 4.320 -5.872 3.930
O 4.993 -5.005 4.726
C 5.432 -7.889 4.731
C 6.304 -6.844 2.762
C 2.440 -4.158 3.548
H 5.066 -3.561 2.468
H 3.718 -3.857 1.150
H 4.979 -4.899 1.435
H 1.709 -6.492 2.721
H 2.041 -5.590 1.387
H 3.935 -6.971 0.853
H 2.669 -8.170 1.141
H 4.402 -8.977 2.322
H 3.188 -8.464 3.384
H 6.147 -8.698 4.583
H 6.001 -7.302 5.452
H 4.650 -8.337 5.344
H 6.807 -5.907 3.004
H 7.054 -7.605 2.974
H 6.056 -6.842 1.700
H 1.713 -4.662 4.185
H 2.005 -3.462 2.831
H 2.861 -3.499 4.308
H 4.266 -4.739 5.294
C 7.358 -9.847 6.930
C 8.092 -10.914 7.811
C 9.655 -10.764 7.516
C 10.493 -11.551 8.564
C 10.266 -10.981 9.921
C 8.744 -11.118 10.335
N 7.849 -10.665 9.182
O 6.521 -10.697 9.593
C 8.462 -12.579 10.784
C 8.768 -10.058 11.442
C 7.682 -12.337 7.411
H 7.562 -10.162 5.906
H 7.809 -8.856 6.883
H 6.282 -9.991 7.028
H 9.822 -11.116 6.498
H 9.866 -9.696 7.579
H 11.578 -11.473 8.503
H 10.215 -12.604 8.516
H 10.549 -9.933 9.829
H 10.724 -11.483 10.774
H 8.714 -13.320 10.025
H 9.159 -12.782 11.597
H 7.467 -12.946 11.036
H 9.453 -10.231 12.272
H 8.856 -9.006 11.172
H 7.793 -10.225 11.901
H 8.313 -13.166 7.732
H 7.542 -12.543 6.350
H 6.756 -12.455 7.974
H 6.369 -9.765 9.770
C 14.219 -9.028 4.181
C 12.890 -8.582 4.879
C 13.124 -7.286 5.720
C 13.375 -6.086 4.799
C 12.121 -5.841 3.942
C 11.789 -6.935 3.054
N 11.747 -8.177 3.923
O 11.265 -9.233 3.174
C 10.449 -6.553 2.495
C 12.865 -6.981 1.930
C 12.349 -9.687 5.738
H 14.783 -8.123 3.955
*/

1). In approximately 350 words, please:

Summarize and briefly explain Thomson’s “ailing violinist” case. What are the details of the case? What are Thomson’s moral intuitions about the case? And how (specifically) is Thomson’s violinist case supposed to motivate an argument in favor of the moral permissibility of abortion in certain cases? In other words, how is Thomson’s argument is supposed to work and what is it supposed to ultimately show? Do you think Thomson’s argument is a good one? Explain why or why not.

2).  In approximately 350 words, please:

Summarize and briefly explain Marquis' argument for the impermissibility of abortion. What specific considerations does Marquis use to support his argument? According to Marquis, what is it (most fundamentally) that makes killing wrong? And how (specifically) is Marquis’ view about the wrongness of killing supposed to motivate an argument in favor of the moral impermissibility of abortion? Do you think Marquis’ argument is a good one? Explain why or why not.

In: Psychology

What are culture-bound syndromes? What are some examples of culture-bound syndromes? Are culture-bound syndromes reflective of...

What are culture-bound syndromes? What are some examples of culture-bound syndromes? Are culture-bound syndromes reflective of universal trends? Why or why not?

In: Psychology

Carefully reflect on what it means to be ‘informed’ as you make decisions and judgments. In...

Carefully reflect on what it means to be ‘informed’ as you make decisions and judgments.

In addition, what is your perspective on the role of, or need for, authorities in terms of making good decisions (before and after our reading)?

For example, if there are medical concerns, you would consult with a doctor.

If there are concerns over the environment, you would consult with an environmental scientist or other expert in the field.What about morality?

What about becoming the kind of person you want to be?

In: Psychology

If you were an entrepreneur, which pitfall(s) do you believe you might be susceptible to, and...

If you were an entrepreneur, which pitfall(s) do you believe you might be susceptible to, and what is the treatment?

In: Psychology

Read “Applying Psychology to Everyday Life: Mental and Physical Exercises Combine for Better Cognitive Health” Should...

Read “Applying Psychology to Everyday Life: Mental and Physical Exercises Combine for Better Cognitive Health”

Should doctors suggest aerobic exercise for their patients interested in maintaining or improving their cognitive functions? What about psychologists working with individuals who have mood or anxiety disorders, or clients with attention problems?

In: Psychology

In at least 2-3 pages, please discuss the following: 1-What are the habits of healthy families?...

In at least 2-3 pages, please discuss the following:

1-What are the habits of healthy families?

2-What's the impact of abuse on children?

3-What factors build resilience in children?

4-How can faith/spirituality offset the impact of mistreatment for children?

Include a subheading per discussion question above for organization. Be sure to start with an intro paragraph on what the paper will cover and end with a summary paragraph on the main points covered and overall implications. Also, be sure to integrate at least one academic journal to support some of your comments.

In: Psychology

Q- Farheen is a 28-year-old chemistry student but she has an intense anxiety concerning University Exams....

Q- Farheen is a 28-year-old chemistry student but she has an intense anxiety concerning University Exams. While speaking to her friend she exhibited certain beliefs and cognitive distortions about her. Mentioned below are the statements which she often expresses, identify cognitive distortion in each statement and give a rationale of that as well. (Each statement ONLY has ONE cognitive distortion).

  • I am nothing unless I have a degree
  • I always have to please my family
  • I cannot cope with the exams
  • If I cannot cope with this, I cannot cope with anything
  • I always have to do everything perfectly well; otherwise others will look down on me
  • It’s my thing to make my father happy as he expects from me and I ruin everything every time.
  • I have to be complete my degree with distinction or else I’m unable to do anything in my life
  • No matter what I do this degree will always bother me

In: Psychology